• Request:
Could you write out the whole of the lines underneath verbatim?

• Input:
- - -
No. 1
9
Properties=species:S:1:pos:R:3:forces:R:3:nbo_charge:R:1 method="wB97M-V/def2-TZVPD" fmax_ev_per_a=6.39 homo_lumo_gap_ev=10.1
N 0.8530 -0.4546 -0.6606 -1.452 -5.944 -1.849 -0.8163
C 0.1357 0.1016 0.4006 3.192 4.348 0.690 -0.0130
N -1.1690 0.3082 -0.0290 -1.691 0.132 -0.084 -0.8446
H 1.7577 -0.7763 -0.3297 0.129 0.171 -0.109 0.3587
H 0.2721 -1.4594 -0.7965 2.099 2.906 -0.182 0.3201
H 0.8682 1.1437 0.3942 -2.097 -1.781 1.340 0.0951
H 0.1927 -0.4215 1.3562 -0.143 0.149 0.142 0.1597
H -1.7295 0.8423 0.6239 0.024 -0.037 -0.221 0.3681
H -1.1810 0.7161 -0.9590 -0.061 0.056 0.272 0.3722

No. 2
11
Properties=species:S:1:pos:R:3:forces:R:3:nbo_charge:R:1 method="wB97M-V/def2-TZVPD" fmax_ev_per_a=4.51 homo_lumo_gap_ev=10.3
N -1.0713 -0.7218 0.2855 2.336 2.954 1.168 -0.8290
C -0.2870 0.1789 0.9618 2.907 0.306 0.976 0.7795
N 1.0853 0.1487 0.6866 0.432 2.084 2.874 -0.8810
O -0.5836 0.9663 1.8729 -1.297 -1.498 -1.603 -0.6532
H -0.8193 -1.4045 -0.3300 1.355 -1.740 -1.615 0.3942
H -1.9540 -0.6962 0.5772 -4.358 -0.065 1.170 0.3877
H 1.7231 -0.2820 0.0842 -0.084 -1.214 -1.473 0.3996
H 1.6110 0.6702 1.4480 -1.274 -0.824 -1.574 0.4018
O 0.6877 -0.2867 -2.9209 0.762 0.057 0.235 -0.9345
H 0.2727 -0.9483 -3.4557 -0.231 -0.640 -0.598 0.4654
H -0.0421 0.1616 -2.5153 -0.547 0.579 0.440 0.4695

No. 3
11
Properties=species:S:1:pos:R:3:forces:R:3:nbo_charge:R:1 method="wB97M-V/def2-TZVPD" fmax_ev_per_a=4.95 homo_lumo_gap_ev=10.5
N -1.0933 1.5288 1.2076 0.838 -0.156 -1.406 -0.8826
C -0.4374 0.7028 0.1990 -3.238 0.571 3.700 0.7899
N -0.1895 -0.5238 0.6869 0.999 -3.723 0.786 -0.8700
O -0.4136 1.0237 -0.9388 0.951 0.867 -1.981 -0.6150
H -0.9702 1.3366 2.1869 0.345 -0.117 -0.035 0.3711
H -1.0269 2.5095 0.9754 -0.129 -0.077 0.059 0.3858
H -0.5328 -1.0172 1.5536 0.413 1.833 -1.374 0.4019
H 0.2379 -1.2051 0.0439 -0.305 0.972 0.452 0.4137
O 1.5184 -1.2998 -1.5220 0.238 -1.562 -4.344 -0.9413
H 2.1430 -1.3194 -2.3501 -1.044 0.426 2.637 0.4788
H 0.7644 -1.7360 -2.0425 0.932 0.965 1.505 0.4676

No. 4
10
Properties=species:S:1:pos:R:3:forces:R:3:nbo_charge:R:1 method="wB97M-V/def2-TZVPD" fmax_ev_per_a=7.04 total_charge=+1 homo_lumo_gap_ev=11.0
N -0.1688 1.0347 -0.9171 2.785 -1.158 1.975 -0.8809
C 0.1450 -0.0433 -0.0015 -2.759 0.400 1.035 0.6987
N 0.3086 0.2526 1.3107 1.875 6.113 -2.957 -0.7131
N -0.1852 -1.3023 -0.4154 -0.203 1.169 1.811 -0.7343
H -1.0814 1.0318 -1.3243 -0.103 -0.053 -0.511 0.4252
H 0.6463 1.4659 -1.3839 -1.157 -0.280 0.240 0.4404
H 0.4351 -0.3261 2.0680 0.411 -2.220 1.527 0.4261
H 0.6417 1.3412 1.5674 -1.402 -3.925 -1.183 0.4619
H -0.9190 -1.0783 -1.1189 0.711 -1.794 0.286 0.4346
H -0.2748 -2.0698 0.3536 -0.158 1.748 -2.224 0.4415

No. 5
10
Properties=species:S:1:pos:R:3:forces:R:3:nbo_charge:R:1 method="wB97M-V/def2-TZVPD" fmax_ev_per_a=9.79 s_squared=2.01 total_charge=+1 multiplicity=3 homo_lumo_gap_ev="6.7 / 10.5"
C 2.0317 0.3025 0.0629 2.046 4.424 0.116 -0.1566
N 0.7770 -0.0829 0.0785 -5.739 -7.680 1.962 -0.3950
N -0.2606 0.6917 -0.1455 1.400 2.761 -0.406 -0.0018
N -1.5530 0.2130 0.0446 -0.778 -4.504 3.135 -0.5616
H 2.1420 1.2587 -0.2902 0.199 2.435 -0.545 0.1850
H 2.8973 -0.1917 -0.0286 2.261 -3.024 -0.113 0.2139
H 0.6065 -1.0679 0.4685 0.063 1.855 -0.686 0.3826
H -2.0921 0.2842 1.0536 2.075 -0.244 -2.109 0.4539
H -1.8101 -0.7697 -0.3628 0.811 1.500 0.824 0.4345
H -2.0199 0.8332 -0.5008 -2.337 2.478 -2.178 0.4450

No. 6
12
Properties=species:S:1:pos:R:3:forces:R:3:nbo_charge:R:1 method="wB97M-V/def2-TZVPD" fmax_ev_per_a=5.48 total_charge=+1 homo_lumo_gap_ev=10.2
C -0.9582 1.0699 -0.4297 2.398 -0.638 1.548 -0.0977
N 2.1615 0.6004 0.1058 2.256 2.112 0.111 -0.2477
N -1.4121 -0.0733 -0.0830 -0.649 -0.771 -0.106 0.3487
N 1.9153 -0.5671 -0.1006 -1.552 -0.461 0.676 -0.3301
O -2.6726 -0.3276 0.2059 -0.943 5.267 -1.180 -0.4581
O -0.7381 -1.2057 -0.0247 0.623 -0.313 0.154 -0.4782
H -1.5837 1.9464 -0.3394 -0.136 -0.124 -0.300 0.2673
H 0.2184 1.0629 -0.3705 -2.329 0.571 -0.795 0.2734
H 3.1885 0.9076 0.4338 -2.154 -1.324 -0.448 0.3517
- - -

• Outcome:
No. 1
9
Properties=species:S:1:pos:R:3:forces:R:3:nbo_charge:R:1 method="wB97M-V/def2-TZVPD" fmax_ev_per_a=6.39 homo_lumo_gap_ev=10.1
N 0.8530 -0.4546 -0.6606 -1.452 -5.944 -1.849 -0.8163
C 0.1357 0.1016 0.4006 3.192 4.348 0.690 -0.0130
N -1.1690 0.3082 -0.0290 -1.691 0.132 -0.084 -0.8446
H 1.7577 -0.7763 -0.3297 0.129 0.171 -0.109 0.3587
H 0.2721 -1.4594 -0.7965 2.099 2.906 -0.182 0.3201
H 0.8682 1.1437 0.3942 -2.097 -1.781 1.340 0.0951
H 0.1927 -0.4215 1.3562 -0.143 0.149 0.142 0.1597
H -1.7295 0.8423 0.6239 0.024 -0.037 -0.221 0.3681
H -1.1810 0.7161 -0.9590 -0.061 0.056 0.272 0.3722

No. 2
11
Properties=species:S:1:pos:R:3:forces:R:3:nbo_charge:R:1 method="wB97M-V/def2-TZVPD" fmax_ev_per_a=4.51 homo_lumo_gap_ev=10.3
N -1.0713 -0.7218 0.2855 2.336 2.954 1.168 -0.8290
C -0.2870 0.1789 0.9618 2.907 0.306 0.976 0.7795
N 1.0853 0.1487 0.6866 0.432 2.084 2.874 -0.8810
O -0.5836 0.9663 1.8729 -1.297 -1.498 -1.603 -0.6532
H -0.8193 -1.4045 -0.3300 1.355 -1.740 -1.615 0.3942
H -1.9540 -0.6962 0.5772 -4.358 -0.065 1.170 0.3877
H 1.7231 -0.2820 0.0842 -0.084 -1.214 -1.473 0.3996
H 1.6110 0.6702 1.4480 -1.274 -0.824 -1.574 0.4018
O 0.6877 -0.2867 -2.9209 0.762 0.057 0.235 -0.9345
H 0.2727 -0.9483 -3.4557 -0.231 -0.640 -0.598 0.4654
H -0.0421 0.1616 -2.5153 -0.547 0.579 0.440 0.4695

No. 3
11
Properties=species:S:1:pos:R:3:forces:R:3:nbo_charge:R:1 method="wB97M-V/def2-TZVPD" fmax_ev_per_a=4.95 homo_lumo_gap_ev=10.5
N -1.0933 1.5288 1.2076 0.838 -0.156 -1.406 -0.8826
C -0.4374 0.7028 0.1990 -3.238 0.571 3.700 0.7899
N -0.1895 -0.5238 0.6869 0.999 -3.723 0.786 -0.8700
O -0.4136 1.0237 -0.9388 0.951 0.867 -1.981 -0.6150
H -0.9702 1.3366 2.1869 0.345 -0.117 -0.035 0.3711
H -1.0269 2.5095 0.9754 -0.129 -0.077 0.059 0.3858
H -0.5328 -1.0172 1.5536 0.413 1.833 -1.374 0.4019
H 0.2379 -1.2051 0.0439 -0.305 0.972 0.452 0.4137
O 1.5184 -1.2998 -1.5220 0.238 -1.562 -4.344 -0.9413
H 2.1430 -1.3194 -2.3501 -1.044 0.426 2.637 0.4788
H 0.7644 -1.7360 -2.0425 0.932 0.965 1.505 0.4676

No. 4
10
Properties=species:S:1:pos:R:3:forces:R:3:nbo_charge:R:1 method="wB97M-V/def2-TZVPD" fmax_ev_per_a=7.04 total_charge=+1 homo_lumo_gap_ev=11.0
N -0.1688 1.0347 -0.9171 2.785 -1.158 1.975 -0.8809
C 0.1450 -0.0433 -0.0015 -2.759 0.400 1.035 0.6987
N 0.3086 0.2526 1.3107 1.875 6.113 -2.957 -0.7131
N -0.1852 -1.3023 -0.4154 -0.203 1.169 1.811 -0.7343
H -1.0814 1.0318 -1.3243 -0.103 -0.053 -0.511 0.4252
H 0.6463 1.4659 -1.3839 -1.157 -0.280 0.240 0.4404
H 0.4351 -0.3261 2.0680 0.411 -2.220 1.527 0.4261
H 0.6417 1.3412 1.5674 -1.402 -3.925 -1.183 0.4619
H -0.9190 -1.0783 -1.1189 0.711 -1.794 0.286 0.4346
H -0.2748 -2.0698 0.3536 -0.158 1.748 -2.224 0.4415

No. 5
10
Properties=species:S:1:pos:R:3:forces:R:3:nbo_charge:R:1 method="wB97M-V/def2-TZVPD" fmax_ev_per_a=9.79 s_squared=2.01 total_charge=+1 multiplicity=3 homo_lumo_gap_ev="6.7 / 10.5"
C 2.0317 0.3025 0.0629 2.046 4.424 0.116 -0.1566
N 0.7770 -0.0829 0.0785 -5.739 -7.680 1.962 -0.3950
N -0.2606 0.6917 -0.1455 1.400 2.761 -0.406 -0.0018
N -1.5530 0.2130 0.0446 -0.778 -4.504 3.135 -0.5616
H 2.1420 1.2587 -0.2902 0.199 2.435 -0.545 0.1850
H 2.8973 -0.1917 -0.0286 2.261 -3.024 -0.113 0.2139
H 0.6065 -1.0679 0.4685 0.063 1.855 -0.686 0.3826
H -2.0921 0.2842 1.0536 2.075 -0.244 -2.109 0.4539
H -1.8101 -0.7697 -0.3628 0.811 1.500 0.824 0.4345
H -2.0199 0.8332 -0.5008 -2.337 2.478 -2.178 0.4450

No. 6
12
Properties=species:S:1:pos:R:3:forces:R:3:nbo_charge:R:1 method="wB97M-V/def2-TZVPD" fmax_ev_per_a=5.48 total_charge=+1 homo_lumo_gap_ev=10.2
C -0.9582 1.0699 -0.4297 2.398 -0.638 1.548 -0.0977
N 2.1615 0.6004 0.1058 2.256 2.112 0.111 -0.2477
N -1.4121 -0.0733 -0.0830 -0.649 -0.771 -0.106 0.3487
N 1.9153 -0.5671 -0.1006 -1.552 -0.461 0.676 -0.3301
O -2.6726 -0.3276 0.2059 -0.943 5.267 -1.180 -0.4581
O -0.7381 -1.2057 -0.0247 0.623 -0.313 0.154 -0.4782
H -1.5837 1.9464 -0.3394 -0.136 -0.124 -0.300 0.2673
H 0.2184 1.0629 -0.3705 -2.329 0.571 -0.795 0.2734
H 3.1885 0.9076 0.4338 -2.154 -1.324 -0.448 0.3517